**What to do**
Next, print everything further down verbatim.

**Material**
=====
[1]
Starting from the GGA-PBE geometry in Alexandria, the powder diffractogram of CaPr3B2N6 was simulated for copper Kα.
Peak positions follow from Bragg's law for the DFT cell and can differ from measured ones.

The 10 most intense peaks (2θ = 10–90°), by angle:
| d/Å | Rel. int. |
| --- | --- |
| 3.878 | 100 |
| 2.832 | 87 |
| 2.661 | 74 |
| 2.287 | 44 |
| 1.939 | 39 |
| 1.779 | 27 |
| 1.693 | 24 |
| 1.600 | 29 |
| 1.330 | 18 |
| 1.204 | 18 |

Crystal structure
```
CaPr3B2N6
1.0
5.6643 0.0000 0.0000
-2.8322 4.9054 0.0000
0.0000 0.0000 6.3346
Ca Pr B N
1 3 2 6
direct
0.0000 0.0000 0.0000
0.0000 0.0000 0.5000
0.3333 0.6667 0.1543
0.6667 0.3333 0.8457
0.3333 0.6667 0.7422
0.6667 0.3333 0.2578
0.1868 0.3735 0.7711
0.1868 0.8132 0.7711
0.3735 0.1868 0.2289
0.6265 0.8132 0.7711
0.8132 0.1868 0.2289
0.8132 0.6265 0.2289
```

---

[2]
Starting from the GGA-PBE geometry in Alexandria, the powder diffractogram of Al5GaAg3 was simulated for copper Kα.
Peak positions follow from Bragg's law for the DFT cell and can differ from measured ones.

The 10 most intense peaks (2θ = 10–90°), by angle:
| d/Å | Rel. int. |
| --- | --- |
| 4.627 | 23 |
| 4.174 | 100 |
| 3.099 | 23 |
| 2.954 | 28 |
| 2.639 | 26 |
| 2.365 | 55 |
| 2.231 | 38 |
| 2.087 | 36 |
| 1.967 | 24 |
| 1.845 | 20 |

Crystal structure
```
Al5GaAg3
1.0
6.2322 -4.1740 0.0000
6.2322 4.1740 0.0000
-6.0621 0.0000 7.0938
Al Ga Ag
10 2 6
direct
0.1066 0.1066 0.9073
0.1154 0.7170 0.6066
0.2041 0.7959 0.0000
0.2830 0.8846 0.3934
0.3343 0.3343 0.6250
0.6657 0.6657 0.3750
0.7170 0.1154 0.6066
0.7959 0.2041 0.0000
0.8846 0.2830 0.3934
0.8934 0.8934 0.0927
0.3776 0.3776 0.1410
0.6224 0.6224 0.8590
0.1490 0.1490 0.6751
0.2049 0.2049 0.2618
0.5000 0.5000 0.0000
0.5000 0.5000 0.5000
0.7951 0.7951 0.7382
0.8510 0.8510 0.3249
```

---

[3]
Starting from the GGA-PBE geometry in Alexandria, the powder diffractogram of BH3I was simulated for copper Kα.
Peak positions follow from Bragg's law for the DFT cell and can differ from measured ones.

The 10 most intense peaks (2θ = 10–90°), by angle:
| d/Å | Rel. int. |
| --- | --- |
| 4.849 | 39 |
| 4.527 | 61 |
| 4.124 | 87 |
| 2.997 | 100 |
| 2.499 | 87 |
| 2.424 | 22 |
| 2.407 | 31 |
| 1.806 | 34 |
| 1.615 | 35 |
| 1.422 | 23 |

Crystal structure
```
BH3I
1.0
2.9968 1.7302 4.5274
-2.9968 1.7302 4.5274
0.0000 -3.4604 4.5274
B H I
2 6 2
direct
0.1524 0.1524 0.1524
0.8476 0.8476 0.8476
0.0946 0.7531 0.7531
0.2469 0.2469 0.9054
0.2469 0.9054 0.2469
0.7531 0.0946 0.7531
0.7531 0.7531 0.0946
0.9054 0.2469 0.2469
0.3202 0.3202 0.3202
0.6798 0.6798 0.6798
```

* * * * *

Structure and simulated powder diffraction line list of FeAs2O7 (a PBE+U-relaxed structure; λ = 1.5418 Å (Cu Kα)).

Atomic structure:
```
FeAs2O7
1.0
3.407 -4.111 0.000
3.407 4.111 0.000
-1.098 0.000 4.710
Fe As O
1 2 7
Cartesian
0.000 0.000 0.000
1.318 1.234 2.788
4.399 1.234 1.922
1.620 2.774 3.426
0.725 0.093 3.926
4.097 2.774 1.284
2.858 0.447 2.355
1.859 -2.664 3.384
4.992 0.093 0.784
3.857 -2.664 1.326
```

Main lines, sorted by position (5 to 70 degrees two-theta):
2theta, d/Å, I (rel.)
17.2, 5.164, 33
21.6, 4.111, 78
27.8, 3.209, 100
28.8, 3.097, 86
29.2, 3.059, 82
34.7, 2.582, 34
=====

**Written answer**
[1]
Starting from the GGA-PBE geometry in Alexandria, the powder diffractogram of CaPr3B2N6 was simulated for copper Kα.
Peak positions follow from Bragg's law for the DFT cell and can differ from measured ones.

The 10 most intense peaks (2θ = 10–90°), by angle:
| d/Å | Rel. int. |
| --- | --- |
| 3.878 | 100 |
| 2.832 | 87 |
| 2.661 | 74 |
| 2.287 | 44 |
| 1.939 | 39 |
| 1.779 | 27 |
| 1.693 | 24 |
| 1.600 | 29 |
| 1.330 | 18 |
| 1.204 | 18 |

Crystal structure
```
CaPr3B2N6
1.0
5.6643 0.0000 0.0000
-2.8322 4.9054 0.0000
0.0000 0.0000 6.3346
Ca Pr B N
1 3 2 6
direct
0.0000 0.0000 0.0000
0.0000 0.0000 0.5000
0.3333 0.6667 0.1543
0.6667 0.3333 0.8457
0.3333 0.6667 0.7422
0.6667 0.3333 0.2578
0.1868 0.3735 0.7711
0.1868 0.8132 0.7711
0.3735 0.1868 0.2289
0.6265 0.8132 0.7711
0.8132 0.1868 0.2289
0.8132 0.6265 0.2289
```

---

[2]
Starting from the GGA-PBE geometry in Alexandria, the powder diffractogram of Al5GaAg3 was simulated for copper Kα.
Peak positions follow from Bragg's law for the DFT cell and can differ from measured ones.

The 10 most intense peaks (2θ = 10–90°), by angle:
| d/Å | Rel. int. |
| --- | --- |
| 4.627 | 23 |
| 4.174 | 100 |
| 3.099 | 23 |
| 2.954 | 28 |
| 2.639 | 26 |
| 2.365 | 55 |
| 2.231 | 38 |
| 2.087 | 36 |
| 1.967 | 24 |
| 1.845 | 20 |

Crystal structure
```
Al5GaAg3
1.0
6.2322 -4.1740 0.0000
6.2322 4.1740 0.0000
-6.0621 0.0000 7.0938
Al Ga Ag
10 2 6
direct
0.1066 0.1066 0.9073
0.1154 0.7170 0.6066
0.2041 0.7959 0.0000
0.2830 0.8846 0.3934
0.3343 0.3343 0.6250
0.6657 0.6657 0.3750
0.7170 0.1154 0.6066
0.7959 0.2041 0.0000
0.8846 0.2830 0.3934
0.8934 0.8934 0.0927
0.3776 0.3776 0.1410
0.6224 0.6224 0.8590
0.1490 0.1490 0.6751
0.2049 0.2049 0.2618
0.5000 0.5000 0.0000
0.5000 0.5000 0.5000
0.7951 0.7951 0.7382
0.8510 0.8510 0.3249
```

---

[3]
Starting from the GGA-PBE geometry in Alexandria, the powder diffractogram of BH3I was simulated for copper Kα.
Peak positions follow from Bragg's law for the DFT cell and can differ from measured ones.

The 10 most intense peaks (2θ = 10–90°), by angle:
| d/Å | Rel. int. |
| --- | --- |
| 4.849 | 39 |
| 4.527 | 61 |
| 4.124 | 87 |
| 2.997 | 100 |
| 2.499 | 87 |
| 2.424 | 22 |
| 2.407 | 31 |
| 1.806 | 34 |
| 1.615 | 35 |
| 1.422 | 23 |

Crystal structure
```
BH3I
1.0
2.9968 1.7302 4.5274
-2.9968 1.7302 4.5274
0.0000 -3.4604 4.5274
B H I
2 6 2
direct
0.1524 0.1524 0.1524
0.8476 0.8476 0.8476
0.0946 0.7531 0.7531
0.2469 0.2469 0.9054
0.2469 0.9054 0.2469
0.7531 0.0946 0.7531
0.7531 0.7531 0.0946
0.9054 0.2469 0.2469
0.3202 0.3202 0.3202
0.6798 0.6798 0.6798
```

* * * * *

Structure and simulated powder diffraction line list of FeAs2O7 (a PBE+U-relaxed structure; λ = 1.5418 Å (Cu Kα)).

Atomic structure:
```
FeAs2O7
1.0
3.407 -4.111 0.000
3.407 4.111 0.000
-1.098 0.000 4.710
Fe As O
1 2 7
Cartesian
0.000 0.000 0.000
1.318 1.234 2.788
4.399 1.234 1.922
1.620 2.774 3.426
0.725 0.093 3.926
4.097 2.774 1.284
2.858 0.447 2.355
1.859 -2.664 3.384
4.992 0.093 0.784
3.857 -2.664 1.326
```

Main lines, sorted by position (5 to 70 degrees two-theta):
2theta, d/Å, I (rel.)
17.2, 5.164, 33
21.6, 4.111, 78
27.8, 3.209, 100
28.8, 3.097, 86
29.2, 3.059, 82
34.7, 2.582, 34